Work order.
Say how many lines of the entries further below hold the word "factors", as a bare number.
Input.
/*
# NaAc2CoO6
Computed powder diffractogram, Cu Kα (λ = 1.5418 Å). Input: a structure optimized by DFT (PBE+U).
Neutral-atom scattering factors, no anomalous dispersion.

Top 10 peaks for 10° ≤ 2θ ≤ 90°, in order of falling intensity:
(1 1 1), 2θ 30.48, d = 2.933 Å, I 1000
(2 0 0), 2θ 31.76, d = 2.817 Å, I 447
(1 1 0), 2θ 22.31, d = 3.984 Å, I 422
(2 0 1), 2θ 38.10, d = 2.362 Å, I 413
(3 1 1), 2θ 55.79, d = 1.648 Å, I 373
(0 0 1), 2θ 20.50, d = 4.332 Å, I 297
(2 2 0), 2θ 45.54, d = 1.992 Å, I 254
(2 0 2), 2θ 53.35, d = 1.717 Å, I 234
(1 1 2), 2θ 47.79, d = 1.903 Å, I 160
(2 2 2), 2θ 63.44, d = 1.466 Å, I 145

Atomic structure:
abc: 5.634 5.634 4.332
angles: 90.00 90.00 90.00
*/
Written answer.
1